5 Psychological Triggers That Turn Leads Into Sales

Jun 14, 2021
KLR Agency

As customers, we’re very familiar with the psychological triggers that drive mass marketing campaigns.

We’ve all heard: “Act now and receive 15% off…But wait, there’s more!”

While kitschy and overused, these tactics tend to work because they are grounded in human psychology. To choose the best tactic(s) for your next sales campaign, it helps to start by narrowly defining your ideal customer. This buyer persona will help you focus on the motivations that might drive them to complete a purchase, then plan your triggers accordingly.

Once you know who your target customer is, it’s much easier to understand the motivations that might lead them to purchase your product or service. Here are five of the top ways to trigger your audience into completing a sale:

1. Scarcity

Blame it on cavemen, but as humans, we’re attracted to the allure of scarce resources. We’re motivated by the promise of a limited supply or time constraints — and we’re also drawn by the idea of getting a bargain. The majority of customers shop frequently but only complete recreational purchases a few times per year around major holidays. When customers hear a sales message that limits availability to time or number, it can spur them to be more impulsive (or miss out!).

2. Mini Commitments

Scarcity and large-scale commitments don’t inspire customers that are more risk-averse. Instead, consider utilizing an upsell approach, even if it’s during the checkout process. Get a customer to commit to one product. Then, before completing checkout, offer a discount on a complementary or compatible product. Customers are motivated to make purchases when they see a chance to save money, even if they’re actually spending more than they intended.

3. Authority/Social Proof

Narrowly understanding your buyer persona will also help you to understand who inspires them as an authoritative source. For some segments of the population, traditional authority figures like doctors, elected officials, and law enforcement can give a product or service legitimacy. For others, word of mouth or the use of social media influencers can be particularly effective. Engage with those authority figures or utilize them in your marketing plan in order to maximize your credibility with your target audience.

4. Early Adoption/FOMO

Between two parts of the entry: data records >
........
# 1
Computed, not measured: SbTe2PdO after structural relaxation at the PBE-GGA level of DFT.

* E_form (uncorrected): 1.03 eV per formula unit
* crystal system: tetragonal
* distance to the lowest polymorph of the same formula: 0 meV per atom

Unit cell a=4.804 b=4.804 c=4.721 alpha=90.00 beta=90.00 gamma=90.00
Element x y z (fractional)
Sb 0.000 0.000 0.000
Te 0.000 0.500 0.500
Te 0.500 0.000 0.500
Pd 0.500 0.500 0.000
O 0.000 0.000 0.500

***

# 2
Computed, not measured: NaUMnS3 after structural relaxation at the PBE-GGA level of DFT.

* E_form (uncorrected): -6.35 eV per formula unit
* crystal system: monoclinic

Unit cell a=8.109 b=3.895 c=8.854 alpha=90.00 beta=103.24 gamma=90.00
Element x y z (fractional)
Na 0.183 0.250 0.216
Na 0.817 0.750 0.784
U 0.330 0.750 0.839
U 0.670 0.250 0.161
Mn 0.077 0.250 0.593
Mn 0.923 0.750 0.407
S 0.105 0.250 0.862
S 0.207 0.750 0.530
S 0.432 0.750 0.158
S 0.568 0.250 0.842
S 0.793 0.250 0.470
S 0.895 0.750 0.138

***

# 3
Computed, not measured: KRb5Au3 after structural relaxation at the PBE-GGA level of DFT.

* energy of formation from the pure elements: -1.47 eV/f.u.
* crystal system: monoclinic

Unit cell a=8.448 b=4.788 c=25.330 alpha=90.00 beta=91.03 gamma=90.00
Element x y z (fractional)
K 0.205 0.000 0.235
K 0.795 0.000 0.765
Rb 0.180 0.000 0.909
Rb 0.235 0.000 0.564
Rb 0.262 0.500 0.394
Rb 0.296 0.500 0.738
Rb 0.319 0.500 0.077
Rb 0.681 0.500 0.923
Rb 0.704 0.500 0.262
Rb 0.738 0.500 0.606
Rb 0.765 0.000 0.436
Rb 0.820 0.000 0.091
Au 0.000 0.500 0.500
Au 0.011 0.500 0.170
Au 0.489 0.000 0.330
Au 0.500 0.000 0.000
Au 0.511 0.000 0.670
Au 0.989 0.500 0.830

***

# 4
Computed, not measured: LiTaS2Br after structural relaxation at the PBE-GGA level of DFT.

* E_form (uncorrected): 2.46 eV per formula unit
* crystal system: tetragonal

Unit cell a=4.456 b=4.456 c=4.523 alpha=90.00 beta=90.00 gamma=90.00
Element x y z (fractional)
Li 0.000 0.000 0.000
Ta 0.500 0.500 0.500
S 0.000 0.500 0.000
S 0.500 0.000 0.000
Br 0.000 0.000 0.500

***

# 5
Computed, not measured: HgSe2BrCl after structural relaxation at the PBE-GGA level of DFT.

* E_form (uncorrected): 3.00 eV per formula unit
* crystal system: tetragonal
* distance to the lowest polymorph of the same formula: 0 meV per atom

Unit cell a=5.469 b=5.469 c=5.415 alpha=90.00 beta=90.00 gamma=90.00
Element x y z (fractional)
Hg 0.000 0.000 0.000
Se 0.000 0.500 0.000
Se 0.500 0.000 0.000
Br 0.000 0.000 0.500
Cl 0.500 0.500 0.500

***

# 6
Computed, not measured: Sm2DyZn6 after structural relaxation at the PBE-GGA level of DFT.

* energy of formation from the pure elements: -3.30 eV/f.u.
* crystal system: hexagonal

Unit cell a=7.829 b=7.829 c=3.551 alpha=90.00 beta=90.00 gamma=120.00
Element x y z (fractional)
Sm 0.333 0.667 0.000
Sm 0.667 0.333 0.000
Dy 0.000 0.000 0.000
Zn 0.000 0.331 0.500
Zn 0.000 0.669 0.500
Zn 0.331 0.000 0.500
Zn 0.331 0.331 0.500
Zn 0.669 0.000 0.500
Zn 0.669 0.669 0.500

***

# 7
........

There is an entire segment of humanity that will try anything once — as long as they can try it first. This early adoption crowd has a surprisingly outsized impact on pop culture (ex: think about the opening weekend for movies at the box office) because they directly impact whether something becomes trendy or fizzles. While there is usually a deeper underlying psychological motivation (ex: wanting a competitive advantage, social credibility, etc.), don’t discount the tactic of targeting and appealing to people who want to be first.

5. Storytelling

Storytelling triggers customers to buy, using stories to explain and emphasize the value of our offering. These stories can be very specific to your product or service (ex: This Pancake Recipe Changed My Family’s Life), or they can be universal (ex: “We Go Above and Beyond For Our Customers”). Despite a push for humans to be “data-driven,” stories are more likely to complete a sale than a well-sourced stat.

The psychology of the sale is aligning your product or service with your customers’ intentions. Your marketing strategy should always provide ways for your audience to see the personal benefits of your products. Your journey to success depends on how you use psychological triggers to encourage your audience to act.

Let Our Connecticut Marketing Agency Help

Need a better understanding of who your audience is and what they need to see from you?

KLR is more than just a marketing agency. Based in Westport, Connecticut, we offer a mix of marketing services including branding, provide SEO services, consult on social media marketing, video production, creative services and more. We work with local and national businesses of all sizes. Contact the team at KLR to help trigger your successful sales campaign today!